# Request
Transcribe the lines below from the one with "0.9620 0.6121" to the one with "SG: P1," verbatim.

# Material
<<<
VASP calculation (PBE with a Hubbard U) on Li3Ni2C4O12 after structural relaxation.

abc: 5.3943 6.4554 8.1982
angles: 86.51 100.84 113.21
Fractional positions:
O1 0.2047 0.4634 0.2994
O2 0.8859 0.8247 0.4471
O3 0.9386 0.1078 0.7695
O4 0.1321 0.9172 0.2398
O5 0.5566 0.3849 0.2720
O6 0.2104 0.3303 0.0573
O7 0.9620 0.6121 0.7371
O8 0.5156 0.5226 0.6915
O9 0.6615 0.1721 0.5482
O10 0.7342 0.9470 0.1999
O11 0.7632 0.6768 0.9377
O12 0.4993 0.0299 0.7813
C1 0.6923 0.1006 0.7009
C2 0.3232 0.3953 0.2095
C3 0.9171 0.8938 0.2982
C4 0.7458 0.6054 0.7942
Li1 0.5258 0.0503 0.3170
Li2 0.1296 0.9525 0.6619
Li3 0.2196 0.4555 0.8252
Ni1 0.9534 0.9986 0.0117
Ni2 0.7210 0.4966 0.5077

Calculated values
offset from the most stable computed form: 29 meV/atom
calculated total energy: -0.48196 Ry/atom
E_form: -1.784 eV per atom
crystal system: triclinic
SG: P1, No. 1
>>>

# Outcome
O7 0.9620 0.6121 0.7371
O8 0.5156 0.5226 0.6915
O9 0.6615 0.1721 0.5482
O10 0.7342 0.9470 0.1999
O11 0.7632 0.6768 0.9377
O12 0.4993 0.0299 0.7813
C1 0.6923 0.1006 0.7009
C2 0.3232 0.3953 0.2095
C3 0.9171 0.8938 0.2982
C4 0.7458 0.6054 0.7942
Li1 0.5258 0.0503 0.3170
Li2 0.1296 0.9525 0.6619
Li3 0.2196 0.4555 0.8252
Ni1 0.9534 0.9986 0.0117
Ni2 0.7210 0.4966 0.5077

Calculated values
offset from the most stable computed form: 29 meV/atom
calculated total energy: -0.48196 Ry/atom
E_form: -1.784 eV per atom
crystal system: triclinic
SG: P1, No. 1